My mom got hurt having me i had to stay in the hospital for 3 to 5 weeks i was a little babay -
The doctors had to do a lot of work on me to help my mom went through a lot after her pregantcy it was hard -
mom got hurt
Right after my mom had me she took me out of the hospital after my weeks was over and her got hurt while pregant with my little sister -
First steps
This is when i was 3 years old and i took my first steps as a child my mom was so proud of me ans i also started talking -
My other sister had her 5 birthday she was having fun at her sleep over with her friends and i took her to the movies she went to watch panda 2 but she had fun -
My brother was born on this day even tho he gets on my nerves but i love my brother to death i will do anything for him but he had good years he is my best out of all my siblings. -
My first start was when i strat playing basketball when i was 4 i love playing basketball its my fav sport -
My sister had her first birthday at mr.getties she had fun she didnt know what she was doing she was two but she knows i love her -
team won
Navasota rattlers basketball team had won our first nationals basketball game we had fun we stayed in a hotel but it was fun we played good won a lot lost a lot it doesnt matter. -
play hard
We had a good year in 2014 but we had some good days and some bads days but nothing can take us out of our game we did good we played hard for the state championship -
Attached: calculated crystals =
+++
PBE-GGA LaCu2Pb, optimized geometry; ΔE_f = -177 meV per atom; E_tot = -4.38 eV/atom
1.0
4.514 0.000 0.000
0.000 4.689 -0.182
0.000 2.006 4.242
Cu La Pb
2 1 1
Direct
0.000 0.061 0.061 Cu
0.500 0.172 0.172 Cu
0.000 0.451 0.451 La
0.500 0.815 0.815 Pb



PBE-GGA PO2F2, optimized geometry; energy above the lowest structure with this stoichiometry = 0.385 eV per atom; E_tot = -4.33 eV/atom; ΔE_f (raw) = -0.516 eV per atom
1.0
5.427 0.000 0.000
0.000 5.427 0.000
2.714 2.714 2.620
P O F
1 2 2
Direct
0.000 0.000 0.000 P
0.275 0.275 0.450 O
0.725 0.725 0.550 O
0.750 0.250 0.500 F
0.250 0.750 0.500 F



Number 1: N(E_F) 1.5 states/eV/cell, size of the total moment 0.00 μB per formula unit. Number 2: N(E_F) 3.3 states/eV/cell, size of the total moment 1.00 μB per formula unit.

* * * * *

DFT (PBE) results for a relaxed Na2LiFe2 crystal.

Values from the calculation:
The value obtained for the relative energy among the computed polymorphs is 0 meV per atom. Its calculated formation energy is 485 meV per atom. The space group is I4/mmm. The calculation puts the energy at -19.05 eV per cell.

```
Na2LiFe2
1.0
3.290 0.000 0.000
0.000 3.290 0.000
1.645 1.645 10.498
Na Fe Li
2 2 1
Direct
0.376 0.376 0.248
0.624 0.624 0.752
0.750 0.250 0.500
0.250 0.750 0.500
0.000 0.000 0.000
```

=====

DFT (PBE) results for a relaxed Cs3FePd crystal.

Values from the calculation:
The value obtained for the relative energy among the computed polymorphs is 0 meV per atom. Its calculated formation energy is 723 meV per atom. The space group is Pm-3m. The calculation puts the energy at -12.60 eV per cell.

```
Cs3FePd
1.0
6.668 0.000 0.000
0.000 6.668 0.000
0.000 0.000 6.668
Cs Fe Pd
3 1 1
Direct
0.000 0.500 0.000
0.000 0.000 0.500
0.500 0.000 0.000
0.500 0.500 0.500
0.000 0.000 0.000
```

=====

DFT (PBE) results for a relaxed Ti3CdMo crystal.

Values from the calculation:
The value obtained for the relative energy among the computed polymorphs is 0 meV per atom. Its calculated formation energy is 697 meV per atom. The space group is Pm-3m. The calculation puts the energy at -31.95 eV per cell.

```
Ti3CdMo
1.0
-1.496 -1.154 -4.377
3.371 -3.361 -0.266
-3.021 -3.179 1.871
Mo Ti Cd
1 3 1
Direct
0.000 0.000 0.000
0.000 0.500 0.000
0.000 0.000 0.500
0.500 0.000 0.000
0.500 0.500 0.500
```

=====

DFT (PBE) results for a relaxed Tb2Er6Sc5 crystal.

Values from the calculation:
Its calculated formation energy is 116 meV per atom. The space group is Pbam. The calculation puts the energy at -133.58 eV per cell.

```
Tb2Er6Sc5
1.0
-1.069 -3.234 -0.588
3.329 -2.990 10.388
-17.392 4.500 6.869
Tb Er Sc
4 12 10
Direct
0.000 0.347 0.285
0.000 0.653 0.715
0.000 0.847 0.215
0.000 0.153 0.785
0.000 0.088 0.366
0.000 0.912 0.634
0.000 0.588 0.134
0.000 0.412 0.866
0.500 0.327 0.124
0.500 0.673 0.876
0.500 0.827 0.376
0.500 0.173 0.624
0.000 0.557 0.420
0.000 0.443 0.580
0.000 0.057 0.080
0.000 0.943 0.920
0.500 0.302 0.449
0.500 0.698 0.551
0.500 0.802 0.051
0.500 0.198 0.949
0.500 0.605 0.277
+++
This was a might to remeber the nigtht of christmas me and my family had a blast at home we spent time with each other it was cool -
spring break
For spring break me and my family had a good break we went to south carlonia to myrtle beach we had a blast it was the best break and we went rock climbing riding helocopter and we went to the beach we had fun. -
fang dance
I was in fang dance for a year in a half until i drop out but i liked it a lot they do a lot we used to go to a lot of places to dang it was amzazing. -
tour meet
Me and my cousin went to our first concert to watch nicki and meek mill we had a good time we had took a picture with them they had a good concerte it was fun. -
**Someone pasted data records at this point**
********
Computed, not measured: crystalline TlBi3Pb at its relaxed geometry at the PBE level of DFT.

Unit cell a=5.6259 b=3.4289 c=16.7214 alpha=90.00 beta=90.00 gamma=90.00
Sites, in units of the cell vectors:
Tl (0.2500, 0.0000, 0.1583)
Tl (0.7500, 0.0000, 0.8417)
Bi (0.2500, 0.0000, 0.5547)
Bi (0.2500, 0.5000, 0.7567)
Bi (0.2500, 0.5000, 0.9519)
Bi (0.7500, 0.0000, 0.4453)
Bi (0.7500, 0.5000, 0.0481)
Bi (0.7500, 0.5000, 0.2433)
Pb (0.2500, 0.5000, 0.3587)
Pb (0.7500, 0.5000, 0.6413)

Symmetry: Pmma
E above lowest polymorph in eV/f.u.: 0.11
ΔH_f (0 K) in eV per atom: 0.02

---

Computed, not measured: crystalline AuSe3Cl at its relaxed geometry at the PBE level of DFT.

Unit cell a=4.9780 b=4.9780 c=4.9780 alpha=90.00 beta=90.00 gamma=90.00
Sites, in units of the cell vectors:
Au (0.0000, 0.0000, 0.0000)
Se (0.0000, 0.5000, 0.5000)
Se (0.5000, 0.0000, 0.5000)
Se (0.5000, 0.5000, 0.0000)
Cl (0.5000, 0.5000, 0.5000)

Symmetry: Pm-3m
E above lowest polymorph in eV/f.u.: 1.73
Formation energy from raw total energies in eV per atom: 1.08

---

Computed, not measured: crystalline HfMg at its relaxed geometry at the PBE level of DFT.

Unit cell a=3.0319 b=3.0319 c=11.4463 alpha=90.00 beta=90.00 gamma=120.00
Sites, in units of the cell vectors:
Hf (0.3333, 0.6667, 0.0000)
Hf (0.6667, 0.3333, 0.5000)
Mg (0.3333, 0.6667, 0.7318)
Mg (0.6667, 0.3333, 0.2318)

Symmetry: P6_3mc
ΔH_f (0 K) in eV per atom: 0.29

---

Number 1: spin magnetization 0.00 Bohr magnetons per cell. Number 2: spin magnetization 0.00 Bohr magnetons per cell. Number 3: spin magnetization 0.00 Bohr magnetons per cell.


[1]
DFT (SCAN) results for a PBEsol-optimized structure of Zr2CuMo.

Lattice parameters (Å, degrees): 4.557 4.557 3.342 90.00 90.00 90.00
Positions (direct):
Zr  0.000  0.500  0.000
Zr  0.500  0.000  0.000
Cu  0.000  0.000  0.500
Mo  0.500  0.500  0.500

Results
Polymorph energy (0 for the lowest one) ... 0.007 eV per atom


[2]
DFT (SCAN) results for a PBEsol-optimized structure of TlCuIr2.

Lattice parameters (Å, degrees): 2.812 2.812 9.030 90.00 90.00 118.76
Positions (direct):
Tl  0.000  0.000  0.000
Cu  0.000  0.000  0.500
Ir  0.500  0.500  0.272
Ir  0.500  0.500  0.728

Results
Polymorph energy (0 for the lowest one) ... 0.074 eV per atom


[3]
DFT (SCAN) results for a PBEsol-optimized structure of GePBr2.

Lattice parameters (Å, degrees): 9.491 9.491 9.491 20.40 20.40 20.40
Positions (direct):
Ge  0.000  0.000  0.000
P  0.500  0.500  0.500
Br  0.412  0.412  0.412
Br  0.588  0.588  0.588

Results
Polymorph energy (0 for the lowest one) ... 0.000 eV per atom


[4]
DFT (SCAN) results for a PBEsol-optimized structure of TcNiIr2.

Lattice parameters (Å, degrees): 2.676 2.676 7.342 90.00 90.00 90.00
Positions (direct):
Tc  0.000  0.000  0.000
Ni  0.500  0.500  0.764
Ir  0.000  0.000  0.525
Ir  0.500  0.500  0.260

Results
Polymorph energy (0 for the lowest one) ... 0.147 eV per atom


[5]
DFT (SCAN) results for a PBEsol-optimized structure of CuTc2Ir.
********
I was 11 and i had a good birthday it was at the chucky cheese and the movies i also had a sleep over but i had a blast me and my friends had fun -
This is when i got my first iphone i was 13 and i liked it even tho it was the 4 i wanted something better but i took what i wanted i give thanks to my parents. -
THe girls first basketball game started on november 18,2015 and it was home they playe great -
My cousin and brother had their first basketball tournment out of town we had a good time they won two and lost one they played the whole season with a great start and they finished with a good ending. -
We had a good week at school this week i had fun got my work done and got my grades up and everything i changed my attitude and got a little better